What is needed: say how many lines of the material further down hold the word "symbols", as a bare number.

<<<
{"formula": "C28H31FI3N3O4S3", "method": "ωB97M-V/def2-TZVPD", "symbols": ["C", "C", "C", "C", "S", "H", "H", "H", "H", "H", "H", "N", "C", "C", "H", "H", "H", "C", "S", "H", "H", "N", "H", "C", "C", "H", "C", "H", "O", "F", "H", "C", "C", "C", "C", "H", "C", "C", "S", "H", "H", "H", "H", "C", "C", "O", "H", "C", "C", "C", "H", "C", "C", "C", "H", "H", "I", "C", "H", "H", "I", "N", "H", "C", "H", "H", "C", "C", "O", "H", "O", "H", "I"], "coordinates": [[-1.890, 4.945, 1.279], [7.142, -1.234, 0.956], [-2.265, 6.362, 2.083], [0.747, -5.076, 0.984], [-5.769, -2.972, -2.207], [1.261, -4.303, 1.706], [0.048, -5.749, 1.656], [3.865, -0.097, -1.826], [-1.725, -3.335, -2.709], [-1.285, 6.618, 2.703], [9.098, 0.343, 2.563], [5.565, -0.012, 2.719], [-5.439, -1.492, -3.358], [-0.153, -4.315, -0.202], [1.676, 1.003, -1.789], [1.544, -5.773, 0.433], [-2.332, 7.188, 1.236], [5.815, -1.272, 1.919], [4.788, 1.297, 0.097], [0.583, 0.954, 1.059], [-3.742, -1.053, -4.924], [-7.872, -0.672, 0.443], [6.634, 1.501, 3.862], [-3.903, -1.646, -3.910], [-2.841, 3.182, -0.632], [-1.017, 5.240, 0.541], [6.877, 0.512, 3.260], [-3.230, 6.274, 2.740], [-4.309, 1.718, -3.957], [1.291, -3.489, -2.108], [-1.207, -4.048, 0.251], [-3.712, 1.619, -2.766], [3.564, 0.126, -0.709], [-6.680, -2.322, -0.704], [2.106, 0.876, -0.707], [-8.076, -1.800, 2.399], [-2.738, -1.143, -2.873], [8.064, 0.697, 2.141], [3.775, 2.084, 2.876], [7.272, -0.315, 4.024], [2.271, 1.972, -0.266], [-0.254, -5.127, -1.064], [1.382, -0.740, 0.840], [-1.339, 2.490, -0.876], [-0.387, -1.797, -1.301], [7.789, 0.081, 0.834], [7.896, -2.078, 1.258], [-7.640, -1.890, 1.315], [0.964, 0.174, 0.239], [-1.613, -2.212, -2.328], [-5.648, -0.462, -2.839], [-3.964, 2.746, -1.556], [0.627, -3.024, -0.847], [-0.285, -0.241, -0.793], [4.822, -1.607, 1.351], [3.426, -0.902, -0.168], [-6.027, 3.537, -1.338], [4.783, 1.030, 1.951], [1.488, -2.691, -0.126], [-3.860, 5.133, 0.143], [-1.222, 3.485, 2.828], [-7.292, -0.922, -0.801], [-3.687, -2.801, -4.120], [-1.400, 0.880, -1.327], [8.157, 1.870, 1.946], [6.763, -1.517, -0.140], [-2.636, 0.409, -2.350], [-3.190, 4.256, 0.555], [-0.181, 3.146, -0.771], [-6.149, -1.626, -4.304], [-6.908, -2.966, 0.625], [6.010, -2.139, 2.716], [-4.228, 3.112, 2.166]], "lumo_ev": -1.92, "total_energy_ha": -3737.355398, "homo_ev": -7.90, "total_charge": 0, "largest_force_ev_per_a": 8.3}
>>>

1